We are trying to extract the feature_classes metadata and save it as csv. With the help of this code we are extracting Abstract, Title, Purpose, Spatial Ref, Extent without any hiccups. But in addition to that we need "Lineage" info and i don't see any lineage info in xml files converted using "ARCGIS2FGDC.xml" translator. But lineage details are getting exported when ARCGIS2ISO19139.xml translator is used.
The problem is, i couldn't able to extract any of the details (Abstract, Lineage, Title etc..) from the output xml translated using ARCGIS2ISO19139.xml. This is the code i am using
import os
import arcpy
import csv
from xml.etree.ElementTree import ElementTree
from arcpy import env
arcpy.env.overwriteOutput = True
def inventory_data(workspace, datatypes):
for path, path_names, data_names in arcpy.da.Walk(
workspace, datatype=datatypes):
for data_name in data_names:
yield os.path.join(path, data_name)
AGSHOME = arcpy.GetInstallInfo("Desktop")["InstallDir"]
translatorpath = AGSHOME + "Metadata\\Translator\\ARCGIS2ISO19139.xml"
#These two variables need to be updated each time this script is run on a new workspace
outfile = r"D:\QAQC\Metadata\GIS_Data_Inventory.csv"
xmlfile = r"D:\QAQC\Metadata\GIS_Data_Inventory.xml"
with open (outfile, 'wb') as csvfile:
csvwriter = csv.writer(csvfile)
#You need to update workspace in the line below
for feature_class in inventory_data(r"D:\QAQC\Metadata\Test", "FeatureClass"):
desc = arcpy.Describe(feature_class)
sr = desc.spatialReference
arcpy.ExportMetadata_conversion(feature_class, translatorpath, xmlfile)
tree = ElementTree()
title = tree.find ("identificationInfo/MD_DataIdentification/citation/CI_Citation/title").text
title = "No Title"
abstract = tree.find ("identificationInfo/MD_DataIdentification/abstract").text
abstract = "No Abstract"
lineage = tree.find ("dataQualityInfo/DQ_DataQuality/lineage/LI_Lineage/statement").text
lineage = "No Lineage"
csvwriter.writerow([desc.path.encode('utf-8'), desc.file.encode('utf-8'), desc.dataType.encode('utf-8'), sr.name.encode('utf-8'), purpose.encode('utf-8'), title.encode('utf-8'), abstract.encode('utf-8')])
except Exception:
e = sys.exc_info()[1]
All i am getting in the output csv is "No Title, No Abstract, No Lineage". But the output xml file has these parameters (image attached below).
Could you explain what you are trying to do here? Metadata is very complex structured data (for example, the lineage is a collection of objects (one or more), each that can have different properties). CSV by contrast is a simple text table.
Could you show what your goal is here, what your output text file should look like?
We have to QAQC 100's of feature_classes and one of the checks is to check the metadata description. So we are trying to extract Abstract, Title, Extent, Lineage Statement of the feature_classes and save it as a csv file, so that we can easily check the things using filter options in the csv(excel) sheet.
Using the ARCGIS2FGDC.xml tranlstor, we can't able to extract "Lineage -> Statement". But ISO19139.xml is doing the job. The problem is, the code i've mentioned in the question doesn;t extract any of the details. All we are getting is a empty csv file.
Output text should be like (w.r.t the image attached):
250K Spot height, Bolivia Borax Geographic rtzbolnew (SPOT39P), Extent details, Migrated from ________________ (Lineage Statement)
perhaps you could format your code so that potential errors could examined... it would separate those from other problems /blogs/dan_patterson/2016/08/14/script-formatting
Done. Thanks for the link
Do you get the same result when you run the Geoprocessing Toolbox? (note: I had the same nothing/no output result as you when I simply ran the existing GP tool from ArcCatalog).
Once you have sensible output from Export Metadata you could try the Data Interoperability extension to create CSV.
A free trial is available. You will probably need to inspect the structure of the XML to get the paths right. If you need help ask your account manager to assist.
I don't use "import csv" , but I'm wondering if you need to close you csv file. Here is a sample of how I write to a csv file, including added a header record first. This does an inventory on feature classes, but is similar to your code. As Dan mentioned, make sure to format you code in the future. It is hard for others to debug since python spacing is critical for looping, etc. My close statement is on line 51 below
# snippet of writing to csv file...this inventories feature classes
import arcpy
import os
theWorkspace = r"c:\__temp"
outFile = "FCInventory"
outFileCSV = os.path.join(theWorkspace, ("{0}.csv".format(outFile)))
csvFile = open(outFileCSV, 'w')
# my headers
csvFile.write("FType, FCname, recCount, FullPath\n")
def inventory_data(workspace, datatypes):
for path, path_names, data_names in arcpy.da.Walk(
workspace, datatype=datatypes):
if "tic" in data_names:
for data_name in data_names:
fcName = os.path.join(path, data_name)
#print("Show for debug: " + fcName)
if not arcpy.Exists(fcName):
# workaround for raster folder name duplicating
fcName = os.path.dirname(fcName)
desc = arcpy.Describe(fcName)
count = arcpy.GetCount_management(fcName).getOutput(0)
#print("debug, desc it to me: " + desc.dataType)
yield [path, data_name, desc.dataType, count] #, desc]
i = 0
for feature_class in inventory_data(theWorkspace, "FeatureClass"):
if i == 0:
print("{0}".format(feature_class[0])) #print(' ' + feature_class[0])
........
--- w ---
Density functional theory data (the ωB97M-V functional and the def2-TZVPD basis) for the molecule H3N2P.

ORCA input file:
```
! RIJCOSX wB97M-V def2-TZVPD def2/J DEFGRID3
* xyz 0 1
H -1.36200 -1.16377 1.55721
N -0.39052 -0.80428 1.36548
P -0.73699 -0.35431 -0.40093
N 0.68124 0.43766 -0.80201
H 1.07033 0.85154 0.01273
H 0.73795 1.03317 -1.73248
*
```

SMILES = [H]/N=P/N
Orbital gap (alpha / beta) = 8.776 / 8.774 eV

--- x ---
Density functional theory data (the ωB97M-V functional and the def2-TZVPD basis) for the molecule H3N2P.

ORCA input file:
```
! RIJCOSX wB97M-V def2-TZVPD def2/J DEFGRID3
* xyz 0 1
N 1.26747 -0.53882 0.34207
P -0.26921 -0.66200 0.02085
N 0.62459 0.73332 -0.26280
H -0.96085 -1.10376 -1.27797
H -1.34638 0.00641 0.69642
H 0.68438 1.56484 0.48143
*
```

SMILES = N1=[PH2]N1
Orbital gap = 8.007 eV

Energies relative to the most stable structure are w 0.0000; x 0.1240, reported in hartree.

--- w ---
Density functional theory data (the ωB97M-V functional and the def2-TZVPD basis) for the molecule C15H19N3O3S2.

ORCA input file:
```
! RIJCOSX wB97M-V def2-TZVPD def2/J DEFGRID3
* xyz 0 1
C -5.36716 -0.86614 0.69348
C -4.46884 0.02807 -0.15307
C -2.97919 -0.24572 0.05082
C -2.55231 -1.61053 -0.49291
C -1.11170 -1.87492 -0.26262
N -0.43240 -1.47228 0.74526
N 0.83626 -1.87291 0.76499
C 1.16752 -2.58652 -0.25838
N 2.38507 -3.14664 -0.50389
C 3.62628 -2.77709 -0.02311
O 4.61058 -3.34905 -0.41869
C 3.63048 -1.64832 0.95087
S 3.23704 -0.09051 0.01047
O 2.42869 -0.41404 -1.13172
O 4.47998 0.57746 -0.23882
C 2.26624 0.91066 1.20133
C 1.65981 2.01577 0.41246
C 2.44626 3.06932 -0.03954
C 1.89131 4.06194 -0.82690
C 0.55045 4.01007 -1.17052
C -0.23493 2.95946 -0.72715
C 0.31785 1.96296 0.05718
S -0.15816 -2.85178 -1.37674
H -5.09553 -0.79134 1.74395
H -5.28938 -1.90701 0.38986
H -6.40605 -0.56355 0.58606
H -4.66289 1.06987 0.11058
H -4.72014 -0.09702 -1.20879
H -2.40358 0.52601 -0.46301
H -2.73566 -0.19636 1.11271
H -2.76214 -1.67411 -1.56255
H -3.12270 -2.39989 0.00566
H 2.42696 -3.79941 -1.27832
H 4.62240 -1.50895 1.36875
H 2.86013 -1.75992 1.70526
H 1.51850 0.25000 1.62787
H 2.98628 1.24995 1.93992
H 3.49443 3.09675 0.21628
H 2.50749 4.87633 -1.17737
H 0.11935 4.78537 -1.78637
H -1.28037 2.91667 -0.99664
H -0.28623 1.13735 0.40336
*
```

SMILES = CCCCc1nnc(NC(=O)CS(=O)(=O)Cc2ccccc2)s1
Orbital gap = 9.658 eV

--- x ---
Density functional theory data (the ωB97M-V functional and the def2-TZVPD basis) for C15H19N3O3S2 as an isolated structure.

ORCA input file:
```
! RIJCOSX wB97M-V def2-TZVPD def2/J DEFGRID3
* xyz 0 1
C -3.76913 -1.70410 0.92782
C -4.80478 -0.78705 0.42951
C -4.46366 0.79938 0.53400
H -5.46507 1.25214 0.29806
C -3.44925 1.03811 -0.48629
C -2.19515 0.71056 0.33296
O -1.99151 0.88322 1.61475
N -1.27104 0.23645 -0.70356
C -0.02690 -0.24744 -0.41693
C 0.75747 -0.90606 -1.39529
C 1.92843 -1.16905 -1.17751
C 2.45773 -1.19099 -0.04528
C 1.91838 -0.89575 1.00804
C 0.64576 -0.11754 0.97483
H 0.07760 0.23000 1.62702
........
(Back to the entry)
outText = (" {0}\n".format(feature_class[0])) # ' ' + feature_class[0] + '\n'
path0 = feature_class[0]
i =+ 1
elif not path0 == feature_class[0]:
print(' ' + feature_class[0])
outText = ' ' + feature_class[0] + '\n'
i = 0
print(" " + feature_class[2] + ": " + feature_class[1])
outText = (" " + feature_class[2] + ": " + feature_class[1] + '\n')
csvFile.write("{0},{1},{2},{3}\n".format(feature_class[2], feature_class[1], feature_class[3], feature_class[0]))
#csvFile.write("{},{}, {}\n".format(feature_class[2], feature_class[1], feature_class[0]))
print( "File {0} is closed? {1}".format(outFileCSV, str(csvFile.closed)))
print('!!! Success !!! ')
It may be easier to find out what's wrong if you don't just silently pass errors, but report what the error was (for debugging purposes):
These calculated molecules were left in the piece by mistake =
____________
# 1
Computed, not measured: a molecular structure, C37H33N3O17S in a non-equilibrium geometry, with wB97M-V/def2-TZVPD.

Values from the calculation:
Frontier orbital gap   6.948 eV
Spin multiplicity   1
Lowest unoccupied orbital energy   -1.776 eV

Element x y z (Å)
1 C 4.487 -8.722 3.623
2 C 4.468 -7.579 2.586
3 O 3.526 -7.507 1.826
4 N 5.525 -6.606 2.448
5 C 6.698 -7.144 1.745
6 C 5.870 -5.948 3.735
7 C 5.278 -4.501 3.723
8 C 4.407 -4.122 4.949
9 C 3.392 -5.188 5.414
10 C 2.146 -5.413 4.541
11 C 1.292 -6.416 4.934
12 C 0.063 -6.767 4.226
13 C -0.300 -6.124 3.085
14 C 0.528 -5.055 2.598
15 N 0.379 -4.293 1.530
16 S 1.600 -3.219 1.461
17 N 2.400 -3.665 2.816
18 C 1.753 -4.690 3.352
19 H 3.796 -9.500 3.270
20 H 5.486 -9.173 3.733
21 H 4.076 -8.322 4.567
22 H 7.409 -7.666 2.414
23 H 6.319 -7.871 0.998
24 H 7.185 -6.351 1.148
25 H 6.975 -5.863 3.739
26 H 5.611 -6.545 4.626
27 H 4.792 -4.348 2.750
28 H 6.144 -3.807 3.731
29 H 5.101 -3.948 5.797
30 H 3.924 -3.145 4.775
31 H 3.839 -6.184 5.593
32 H 3.023 -4.866 6.410
33 H 1.528 -6.975 5.850
34 H -0.547 -7.570 4.650
35 H -1.195 -6.375 2.507
36 C -2.262 0.811 -0.273
37 C -1.819 1.680 -1.191
38 C -0.664 1.350 -2.089
39 O -0.310 2.164 -2.919
40 C -0.011 0.056 -1.919
41 C -0.453 -0.810 -1.000
42 C -1.625 -0.490 -0.121
43 O -2.000 -1.319 0.688
44 O 0.128 -2.002 -0.820
45 O -2.379 2.881 -1.354
46 H -3.095 1.037 0.379
47 H 0.831 -0.164 -2.560
48 H -0.379 -2.437 -0.103
49 H -1.879 3.315 -2.077
50 C -4.469 4.367 -3.992
51 C -5.723 4.777 -4.214
52 C -6.106 6.222 -4.104
53 O -7.258 6.546 -4.336
54 C -5.080 7.178 -3.721
55 C -3.827 6.768 -3.494
56 C -3.437 5.328 -3.630
57 O -2.277 5.011 -3.431
58 O -2.859 7.616 -3.137
59 O -6.697 3.927 -4.546
60 H -4.178 3.328 -4.070
61 H -5.374 8.213 -3.629
62 H -2.055 7.074 -3.037
63 H -7.500 4.472 -4.653
64 C 0.900 2.453 4.758
65 C 2.002 1.951 5.327
66 C 2.429 0.532 5.098
67 O 3.450 0.133 5.626
68 C 1.592 -0.308 4.251
69 C 0.488 0.194 3.684
70 C 0.075 1.619 3.891
71 O -0.928 2.029 3.337
72 O -0.302 -0.548 2.905
73 O 2.781 2.683 6.129
74 H 0.584 3.475 4.914
75 H 1.901 -1.335 4.107
76 H -1.027 0.042 2.621
77 H 3.506 2.089 6.404
78 C -5.274 6.816 -9.042
79 C -5.548 7.300 -7.824
80 C -4.693 8.360 -7.192
81 O -4.983 8.788 -6.088
82 C -3.532 8.836 -7.935
83 C -3.259 8.348 -9.150
84 C -4.126 7.309 -9.792
85 O -3.843 6.913 -10.906
86 O -2.203 8.759 -9.857
87 O -6.594 6.866 -7.117
88 H -5.883 6.054 -9.509
89 H -2.914 9.587 -7.463
90 H -2.234 8.257 -10.693
91 H -6.586 7.368 -6.279


# 2
Computed, not measured: a molecular structure, C45H67ClCsN3O5P2S in a non-equilibrium geometry, with wB97M-V/def2-TZVPD.

Values from the calculation:
Frontier orbital gap   7.127 eV
Spin multiplicity   1
Lowest unoccupied orbital energy   -0.119 eV

Element x y z (Å)
1 Cs 2.263 -1.194 1.876
2 C -2.364 -4.631 -2.047
3 C -1.253 -3.783 -1.329
4 C 0.141 -3.954 -2.067
5 C -1.601 -2.278 -1.343
6 C -2.909 -1.919 -1.029
7 C -3.380 -0.615 -1.251
8 C -4.872 -0.518 -1.185
9 C -5.536 -1.418 -0.120
____________
title = tree.find ("identificationInfo/MD_DataIdentification/citation/CI_Citation/title").text
except Exception as msg:
print("Error parsing for {}:".format(feature_class))
title = "No Title"